My two friends who are girls were arguing with one of my friends' ex-boyfriend because they broke up, the boyfriend was cheating, so they decided to go and harass the guy and his new girlfriend. Now I was like on board, I was like watching and enjoying it, but then, something snapped in my head and I realized that it was developing into a bad fight because they were making dates to go fight each other, it was just a group of people arguing. It was like a 3 on 3 argument, and I was just watching them comment on Facebook, then I had to tell them to stop, it was time to end it, but it slowly died down but started to rise back up, so I had to become harsh about it and told one of my friends that she had to stop or else I had to do something I didn't want to do, but she couldn't stop, so I had no choice but to talk with the ex-boyfriend and told him I was on his side and attempted to stop the argument, a few minutes later they finally stopped, but at the cost of it, I may have lost my friend, her and I get along extremely well, I always help her out with her problems, but now she may not forgive me, she said she was having fun but honestly, how could you have fun insulting and harassing a guy who wanted to leave his girlfriend but the girl did it for him, so why harass him, he deserved a little bit of it at first, but after awhile they had to stop, he didn't deserve to be hounded by all kinds of people. So my question is, was I wrong for what I did?
Not entirely sure whether the method was right, because i'm not sure of the backstory too much so i can't judge whether siding with the ex was a good idea or bad, but i can tell you this: Your intentions were good. Trying to solve conflicts isn't a bad thing, it should be praised. Hopefully she'll realise that you tried to do the right thing and then you two can get along fantastic again. Whatever happens, best of luck.
Yeah I'm glad you see my intentions were good, I noticed that she had changed her status to single, and then they both were talking about her ex, so I decided to go see what was going on or rather what went on since they asked me to, at first I was with them about the girl, I mean she really didn't look good compared to my friend who he cheated on for her, but still, some people can see beauty in their eyes even when others don't find them beautiful, so I had to respect him which is why I did what I had to do.
In the ex-boyfriend's eyes, you were correct, as you were defending him from insults and attacks that were, in his mind, unwarranted. In your friend's eyes, you actively chose to oppose her and side with a person who backstabbed her and hurt her. In siding with him and protecting him, you betray her trust in you. I won't pass judgement on your morality, but I will say that for your own wellbeing, I suggest supporting your friends. It's not worth putting your friendship on the line to defend someone you are not close to. You don't necessarily have to actively partake in the attacks, but I see no reason to go out of your way to place yourself at risk for the ex-boyfriend's sake. To actually state that you are on the side of the ex-boyfriend is to risk losing far more than you can gain. You're wrong when you say you didn't have a choice. You had the choice of doing nothing, and letting it run its course. Alternatively, you could have instead tried to coax your friends away from the fight without choosing such a confrontational method. You had other options, but you chose not to take them. From what I can tell, this was a mistake in terms of personal benefit. Whether or not it was morally correct isn't for me to say.
-- Inserted here: materials data --
********
Entry 1:
MgSb2As2Pd7: computed PXRD pattern (λ = 1.5418 Å (Cu Kα)), based on a cell relaxed with GGA-PBE.
Neutral-atom scattering factors, no anomalous dispersion.

Principal peaks in the range 15 to 90 degrees two-theta, by angle:
2θ/deg	I/Imax
22.83	42
23.39	35
32.79	100
36.91	63
40.21	40
44.16	96
46.24	97
48.63	36
63.90	26
67.46	30

Unit cell a=3.9269 b=3.9269 c=15.4591 alpha=97.23 beta=97.23 gamma=89.98
Sites, in units of the cell vectors:
Mg 0.0000 0.0000 0.0000
Sb 0.2119 0.2119 0.4260
Sb 0.7881 0.7881 0.5740
As 0.3853 0.3853 0.7671
As 0.6147 0.6147 0.2329
Pd 0.0665 0.5662 0.1359
Pd 0.3025 0.3025 0.6038
Pd 0.4338 0.9335 0.8641
Pd 0.5000 0.5000 0.0000
Pd 0.5662 0.0665 0.1359
Pd 0.6975 0.6975 0.3962
Pd 0.9335 0.4338 0.8641

Entry 2:
SrMgAs2Pd5: computed PXRD pattern (λ = 1.5418 Å (Cu Kα)), based on a cell relaxed with GGA-PBE.
Neutral-atom scattering factors, no anomalous dispersion.

Principal peaks in the range 15 to 90 degrees two-theta, by angle:
2θ/deg	I/Imax
18.56	21
28.58	70
32.87	56
34.43	44
37.64	100
50.82	65
52.31	23
54.29	34
62.50	16
64.94	31

Unit cell a=4.7795 b=4.7795 c=8.1745 alpha=90.00 beta=90.00 gamma=90.00
Sites, in units of the cell vectors:
Sr 0.0000 0.0000 0.0000
Mg 0.0000 0.0000 0.5000
As 0.5000 0.5000 0.2935
As 0.5000 0.5000 0.7065
Pd 0.0000 0.5000 0.3269
Pd 0.0000 0.5000 0.6731
Pd 0.5000 0.0000 0.3269
Pd 0.5000 0.0000 0.6731
Pd 0.5000 0.5000 0.0000

Entry 3:
Pm3MgAs4: computed PXRD pattern (λ = 1.5418 Å (Cu Kα)), based on a cell relaxed with GGA-PBE.
Neutral-atom scattering factors, no anomalous dispersion.

Principal peaks in the range 15 to 90 degrees two-theta, by angle:
2θ/deg	I/Imax
21.16	12
25.99	8
30.09	100
33.75	7
37.08	6
43.08	75
53.44	26
62.56	12
70.97	34
78.98	25

Unit cell a=5.9391 b=5.9391 c=5.9391 alpha=90.00 beta=90.00 gamma=90.00
Sites, in units of the cell vectors:
Pm 0.0000 0.0000 0.5000
Pm 0.0000 0.5000 0.0000
Pm 0.5000 0.0000 0.0000
Mg 0.5000 0.5000 0.5000
As 0.0000 0.0000 0.0000
As 0.0000 0.5000 0.5000
As 0.5000 0.0000 0.5000
As 0.5000 0.5000 0.0000

Entry 4:
RbMg4As3: computed PXRD pattern (λ = 1.5418 Å (Cu Kα)), based on a cell relaxed with GGA-PBE.
Neutral-atom scattering factors, no anomalous dispersion.

Principal peaks in the range 15 to 90 degrees two-theta, by angle:
2θ/deg	I/Imax
24.99	100
28.77	16
30.09	30
33.45	13
39.18	19
40.51	57
48.19	16
50.45	19
55.43	12
64.73	13

Unit cell a=12.6759 b=12.6759 c=12.6759 alpha=20.23 beta=20.23 gamma=20.23
Sites, in units of the cell vectors:
Rb 0.0000 0.0000 0.0000
Mg 0.1967 0.1967 0.1967
Mg 0.4161 0.4161 0.4161
Mg 0.5839 0.5839 0.5839
Mg 0.8033 0.8033 0.8033
As 0.2658 0.2658 0.2658
As 0.5000 0.5000 0.5000
As 0.7342 0.7342 0.7342

Entry 5:
Rb2MgAs2: computed PXRD pattern (λ = 1.5418 Å (Cu Kα)), based on a cell relaxed with GGA-PBE.
Neutral-atom scattering factors, no anomalous dispersion.

Principal peaks in the range 15 to 90 degrees two-theta, by angle:
2θ/deg	I/Imax
17.37	16
29.12	15
30.80	30
31.70	100
39.46	17
50.87	16
54.74	7
55.34	20
63.34	6
********
-- End of the materials data --
Right there you are also correct, in the way I see it, I could've kept trying to stop them, I did all I could, and in the end I settled the argument, they stopped, but I may have lost my friend in the process. Sad part is, I told her that I wouldn't abandon her, which is what I kinda did. She's been tricked before, lost friends because of stupid things, and she's been betrayed before, and I broke that. Like Smurf said, my intentions were good, but at the same time those actions were gonna hurt a friend. I wanted to leave it alone, but I've been raised to always offer aid to anyone in need of it, if I see a conflict escalating, then I was taught to stop it or at least decrease it if possible. I've been doing that and helping out friends for years, sometimes it's almost gotten to this point but this is the first it's ever gotten that bad.
Hmm. Such a mentality, while noble, isn't particularly beneficial for you. If you feel that you must try to help, may I recommend that in future, you try to do so in a way that won't cause more conflict? In the long run, it could be better to allow things to run their course. In trying to stop the initial fight, you could inadvertently spark a conflict between your friend and you, creating more conflict than there would have been if you had not intervened, or at the least, interfered so forcefully. If we're going by a utilitarian viewpoint, I'd argue that stepping in caused more total harm than if you had not. You see, the ex expects such treatment. After all, he cheated on her. It's nothing surprising or out of the ordinary, and thus, ironically enough, not as personal or hurtful. On the other hand, you stepping in to take his side is uncommon. Your friend would not expect that from you. As a result, even if more harm to the ex was avoided, the total harm received by persons could potentially be greater, as your friend is surprised and hurt by your betrayal.
Yeah I realized that minutes ago, and I talked to her and she said it's understandable and then I explained it all to her so she's actually all happy faced right now. So for the future I won't interfere like that, she told me to interfere if it's between her and a close friend, or in other words people we know well, otherwise I have to stay out of it. I told her I would stay out of it, but I made her understand that things like that have consequences on both people, and I used what I did as an example and now she understands fully so honestly ever was worked out just by me going in and fixing it with her. I think she's right, there is something about me because things like this hardly play out in a good way. But anyway I appreciate the advice from the both of you guys!